Ascending the Light and Union with the Twin Flame - Chakra Meditation
-- Attached: quantum chemistry results --
********
No. 1
C33H29Cl3IIrN3OSSbSi as an isolated structure in a non-equilibrium geometry, computed with wB97M-V/def2-TZVPD.

Values from the calculation:
* total charge: +1
* maximum force: 2.0 eV/Å
* energy relative to the best compared isomer or geometry (same formula, charge and spin): 24.56 kcal/mol
* HOMO energy (spin up / spin down): -10.0 / -10.9 eV
* spin multiplicity: 2

Element x y z (Å)
Ir1 -0.1457 -0.2815 -0.5141
C1 -1.8651 1.2831 3.1510
C2 -1.5608 0.7852 1.7853
N1 -0.3892 0.7888 1.2537
N2 0.7308 1.2507 1.8840
C3 1.7830 0.8905 1.1728
O1 1.7508 0.1516 0.0955
C4 3.1095 1.3185 1.6599
C5 3.2449 1.9249 2.9080
C6 4.5033 2.2555 3.3780
C7 5.6289 1.9897 2.6069
C8 5.4936 1.4154 1.3514
C9 4.2353 1.0771 0.8788
C10 -2.6008 0.1809 0.9095
C11 -3.9461 0.2392 1.2041
C12 -4.8570 -0.4161 0.3833
C13 -4.3923 -1.1207 -0.7067
C14 -3.0298 -1.1229 -0.9709
N3 -2.1546 -0.4849 -0.1903
H1 -0.9363 1.4529 3.6880
H2 -2.4804 0.5632 3.6907
H3 -2.4107 2.2287 3.1014
H4 2.3619 2.1379 3.4931
H5 4.6100 2.7173 4.3504
H6 6.6125 2.2346 2.9860
H7 6.3686 1.2258 0.7440
H8 4.1100 0.6356 -0.1006
H9 -4.2775 0.7966 2.0684
H10 -5.9147 -0.3790 0.6061
H11 -5.0613 -1.6659 -1.3567
H12 -2.6204 -1.6521 -1.8183
Cl1 -1.9196 0.9759 -3.3059
Si1 -0.3274 -0.1964 -2.7596
Cl2 1.3454 0.4693 -3.7242
Cl3 -0.7930 -1.9977 -3.7710
I1 1.6446 4.5180 0.5341
C15 0.8142 3.1057 -0.6457
H13 1.4032 2.7609 -1.4822
H14 -0.2630 3.0223 -0.6512
S1 0.1468 -2.4837 -0.0480
Sb1 0.8045 -3.9984 -1.7096
C16 -0.8787 -4.8976 -2.5634
C17 -2.0275 -4.9329 -1.7805
C18 -3.1995 -5.4531 -2.3133
C19 -3.2239 -5.9196 -3.6192
C20 -2.0727 -5.8883 -4.3941
C21 -0.8945 -5.3794 -3.8688
C22 2.3490 -3.2492 -2.8736
C23 3.3116 -2.5225 -2.1787
C24 4.3936 -2.0001 -2.8735
C25 4.5069 -2.2076 -4.2398
C26 3.5396 -2.9311 -4.9252
C27 2.4505 -3.4540 -4.2457
C28 1.6909 -5.4283 -0.4641
C29 3.0294 -5.7709 -0.6218
C30 3.6180 -6.6623 0.2659
C31 2.8733 -7.2043 1.3020
C32 1.5351 -6.8653 1.4558
C33 0.9404 -5.9768 0.5745
H15 -2.0176 -4.5509 -0.7660
H16 -4.0953 -5.4877 -1.7068
H17 -4.1426 -6.3100 -4.0362
H18 -2.0919 -6.2555 -5.4114
H19 -0.0021 -5.3735 -4.4802
H20 3.2171 -2.3510 -1.1115
H21 5.1435 -1.4267 -2.3450
H22 5.3514 -1.7979 -4.7778
H23 3.6291 -3.0834 -5.9924
H24 1.6924 -3.9977 -4.7919
H25 3.6170 -5.3515 -1.4296
H26 4.6598 -6.9289 0.1480
H27 3.3371 -7.8925 1.9960
H28 0.9569 -7.2894 2.2659
H29 -0.1031 -5.7134 0.7051

Löwdin population analysis, charges in e, atoms 1 to 6: 0.8518, 0.0045, -0.2244, -0.1078, 0.0834, -0.4621

No. 2
A 2-piece molecular cluster, C22H18N4O3 overall in a non-equilibrium geometry, computed with wB97M-V/def2-TZVPD.

Values from the calculation:
* maximum force: 2.5 eV/Å
* energy relative to the best compared isomer or geometry (same formula, charge and spin): 40.37 kcal/mol
* HOMO energy: -6.0 eV

Element x y z (Å)
C1 4.6156 0.0819 4.1770
C2 4.7587 0.7080 2.9504
C3 3.6554 1.1839 2.2783
C4 2.3720 1.0425 2.8290
C5 1.1528 1.5131 2.2034
O1 -0.0091 1.3158 2.9235
C6 -1.2161 1.6991 2.3686
C7 -1.2819 2.3325 1.1052
C8 -2.5339 2.7149 0.5970
********
Preparation: Find a quiet, comfortable space where you will not be disturbed. Sit in a relaxed position with your spine straight and your hands resting gently on your lap. Close your eyes and take several deep breaths, inhaling deeply through your nose and exhaling slowly through your mouth. Allow your body to relax more with each breath, grounding yourself in the present moment.
Invocation: Beloved Mighty I AM Presence, Source of All That Is, we call upon Your Divine Light to surround and fill us. We invite the presence of our twin flame, our eternal partner in the divine journey, to join us in this sacred space. Guide us in this meditation to deepen our connection with You and to experience the bliss of divine union.
Grounding: Visualize roots extending from the base of your spine deep into the Earth. Feel the grounding energy of the Earth rising up through these roots, filling your body with stability and strength. Know that you are supported and anchored in the present moment.
Connecting with the Heart: Bring your awareness to your heart center. Imagine a radiant ball of golden light glowing within your heart. With each breath, see this light expanding, filling your entire chest with warmth and love.
Invocation of the I AM Presence: Mentally or aloud, repeat the following affirmation three times: “I AM that I AM. I AM the Light of God, always victorious.” As you say these words, feel a powerful connection to your divine essence, the Mighty I AM Presence within you.
Ascending the Light: Visualize this golden light from your heart ascending upwards, moving through each of your chakras—the solar plexus, the sacral, the root, the throat, the third eye, and finally the crown. See the light purifying and energizing each chakra as it rises.
– Solar Plexus Chakra: Visualize the golden light from your heart descending slightly to your solar plexus chakra, located just above your navel. See the light swirling and energizing this chakra, filling it with confidence and personal power. As the light purifies this chakra, feel any tension or blockages melting away.
– Sacral Chakra: Now, direct the golden light further down to your sacral chakra, located about two inches below your navel. This is the center of your creativity and emotional expression. See the light brightening and clearing this chakra, allowing a free flow of creative energy and balanced emotions.
– Root Chakra: Continue to guide the golden light down to your root chakra, located at the base of your spine. This chakra is the foundation of your stability and security. Visualize the light cleansing and energizing this chakra, grounding you firmly and dispelling any fears or anxieties.
– Throat Chakra: Return your focus to your heart and guide the golden light upwards to your throat chakra, located at the base of your throat. This is the center of communication and truth. See the light illuminating and purifying this chakra, empowering you to speak your truth with clarity and compassion.
– Third Eye Chakra: Move the golden light higher to your third eye chakra, located in the center of your forehead, between your eyebrows. This chakra is the seat of your intuition and inner wisdom. Visualize the light opening and cleansing this chakra, enhancing your intuitive abilities and inner vision.
– Crown Chakra: Finally, direct the golden light to your crown chakra, located at the top of your head. This chakra is your connection to the Divine. See the light purifying and energizing this chakra, opening a channel to the higher realms and allowing divine wisdom to flow into you.
Crown of Light: When the light reaches your crown chakra, visualize it forming a brilliant halo above your head. From this halo, see a beam of light extending upwards, connecting you to the Great Central Sun, the Source of all divine energy.
Union with the Twin Flame: Continue to visualize the golden light radiating from your heart and rising through each of your chakras. Now, imagine this light expanding outward, creating a sacred space around you. Within this sacred space, invite the presence of your twin flame, your eternal partner in the divine journey.
– Visualizing Your Twin Flame: Picture your twin flame standing beside you. Their presence is a perfect mirror of your divine essence, reflecting the same radiant golden light from their heart center. As you gaze upon each other, see the purity and brilliance of their being, recognizing the profound connection that transcends time and space.
– Connecting Hearts: Visualize a beam of golden light extending from your heart center to theirs. As this light connects your hearts, feel the immense love, unity, and harmony that flows between you. This connection is not just emotional but spiritual, a deep recognition of your shared divine origin and purpose.
– Experiencing Unity: Allow yourself to fully embrace this moment of union. Feel the warmth and energy of your twin flame’s presence merging with your own. Together, you form a complete and balanced whole, two halves of a divine unity. This connection strengthens your resolve, your purpose, and your spirit.
– Affirmation of Unity: Mentally or aloud, affirm the following: “In this sacred union, we are one in purpose, spirit, and divine essence. Together, we walk the path of Light, fulfilling our highest destiny.”
Divine Communion: In this heightened state of divine union, where your hearts are connected by golden light, enter a state of deep, sacred communion. This is a moment to align both your energies with the divine will and purpose.
– Invoking the Divine Presence: Feel the presence of the Mighty I AM Presence enveloping you and your twin flame. This divine energy surrounds and permeates your being, filling you with a sense of profound peace, love, and guidance.
– Prayer of Union: In this state of divine communion, mentally repeat or softly speak the following prayer: “Beloved Mighty I AM Presence, we unite in Your eternal Light. May our hearts beat as one, in harmony with Your divine will. Guide us in our journey, that we may fulfill our highest purpose and manifest Your divine plan on Earth.”
– Deepening the Connection: As you repeat this prayer, feel your connection to the Mighty I AM Presence growing stronger. Visualize a column of golden light descending from the Great Central Sun, enveloping both you and your twin flame. This light is a conduit of divine energy, wisdom, and love, aligning you both with the highest spiritual truths and purposes.
Receiving Guidance: Sit in silence for a few moments, remaining open to any messages or insights that may come from your I AM Presence or your twin flame. Trust that you are receiving divine guidance and inspiration. Feel the assurance that you are never alone on your journey, and that divine support is always with you.
Returning to the Present: Gradually bring your awareness back to your physical body. Feel the chair beneath you, the ground supporting you. Take a few deep breaths, and when you are ready, gently open your eyes.
Closing: Express gratitude to your Mighty I AM Presence, your twin flame, and the divine energies that have guided you in this meditation. Know that you carry this divine connection and union with you, always accessible in your heart.
Affirmation: Conclude your meditation with this affirmation: “I am a vessel of divine Light and Love. In unity with my twin flame, I manifest the highest good for all. I am that I AM.”
Spend a few moments in quiet reflection, integrating the peace and insights from your meditation. Carry this sense of divine union and purpose into your daily life, knowing that you are always connected to your Mighty I AM Presence.